University of Florida

Poinsettia Production Guidelines

Commercial Production

Plants per pot

Usually 1 cutting per 4" or 6" pot. 1-3 cuttings in 8"-10" containers, or hanging baskets. Specialty crops in larger pots may require 3-5 cuttings per pot. A broad spectrum fungicide is recommended at 1 week after planting to reduce chances of disease problems during the early phases of production.

Media pH preference

5.5-6.5, Dolomite lime preferred for media pH control. Note: poinsettias prefer a more acidic media than many other flowering potted crops, care should be taken to keep pH within the preferred range.

Production Light levels

Under most Florida conditions a 30% level (compared to full sun production) is recommended, but this varies depending on the greenhouse used for production and the amount of light that passes through the covering. Higher light decreases plant height and increases bract color, and light less than 5000 fc is detrimental to growth.

Production temperatures

Day temperatures can vary between 75-80°F. Night temperatures should remain above 60F throughout production.
Poinsettia crops are delayed when night temperatures drop below 50F. Once bracts are fully formed, many growers drop temperatures to 50F at night to intensify bract coloration.


Fertilizer concentration should be maintained at 200- 300 ppm N for constant fertilization, and 400-500 ppm when fertilizing intermittently every 7-10 days.

Fertilizer formulation is somewhat flexible but most Florida growers use either a 20-10-20 formulation or 15-5-15 formulation. In all cases the fertilizer should have high calcium and magnesium levels to avoid problems with bract edge burn at finish. Fertilizer needs also differ from variety to variety.

A complete micronutrient application is recommended at 1-2 weeks after planting rooted cuttings.


Many growers opt for purchasing rooted cuttings of this crop rather than propagating their own plants, as sanitation when cuttings are taken is critical to producing good finished plants.

For growers producing their own cuttings: Root cuttings in a sterile, porous medium and keep cutting equipment and cutting area clean and sterile to prevent disease. Maintain temperatures between 70-75°F with100% humidity as cuttings begin rooting, and then lower humidity as roots develop. For direct stick, overwatering should be avoided to prevent rotting.

Pinching required

Pinch to seven nodes at approximately 2-3 weeks after planting; the first pinch should be removal of .5 to 1" of the top growth, if plants are allowed to grow larger before pinching crop delays can result.

- - -
# 1
C2H2FN | wB97M-V/def2-TZVPD

Positions of all 6 atoms, in Å:
1 C -0.415 -0.282 -0.229
2 C 0.633 0.506 0.455
3 N 0.622 0.654 -0.771
4 F -0.619 -1.632 -0.607
5 H -1.434 -0.100 -0.091
6 H 1.212 0.854 1.243

The HOMO energy (spin up / spin down) is -0.22812 / -0.43688 Eh. As for the HOMO-LUMO gap (spin up / spin down): 7.37 / 8.73 eV. As for the net charge: 0. As for the multiplicity: 3. For the energy above the lowest of the compared OMol25 structures with the same formula, charge and spin, the calculation gives 40.2 kcal/mol.

---

# 2
C2H2FNO2 | wB97M-V/def2-TZVPD

Positions of all 8 atoms, in Å:
1 C 1.014 0.819 -0.188
2 C 0.176 -0.351 -0.485
3 N 1.625 1.756 -0.162
4 O -0.104 -1.452 0.199
5 O -1.443 0.761 -0.132
6 F -1.422 0.448 1.210
7 H -0.059 -0.460 -1.579
8 H 0.212 -1.520 1.137

The HOMO energy is -0.38114 Eh. As for the HOMO-LUMO gap: 9.71 eV. As for the net charge: 0. For the energy above the lowest of the compared OMol25 structures with the same formula, charge and spin, the calculation gives 152.9 kcal/mol.

---

# 3
C2H2FO2Zn | wB97M-V/def2-TZVPD

Positions of all 8 atoms, in Å:
1 Zn 0.749 1.072 -1.237
2 F -0.928 1.109 -2.091
3 O 0.058 1.308 0.535
4 C -0.437 0.148 0.807
5 C 0.323 -0.958 0.294
6 O 1.123 -0.724 -0.687
7 H -1.109 0.011 1.664
8 H 0.221 -1.966 0.715

The HOMO energy (spin up / spin down) is -0.31030 / -0.40654 Eh. As for the HOMO-LUMO gap (spin up / spin down): 7.08 / 9.68 eV. As for the net charge: 0. As for the multiplicity: 2. For the energy above the lowest of the compared OMol25 structures with the same formula, charge and spin, the calculation gives 0.0 kcal/mol.

---

# 4
C2H2FO3S | wB97M-V/def2-TZVPD

Positions of all 9 atoms, in Å:
1 C -0.796 1.357 0.727
2 C -0.528 0.332 -0.223
3 O -1.645 -2.583 0.499
4 O -1.825 1.903 1.096
5 O -0.209 -1.794 2.335
6 F 0.297 1.457 1.591
7 S -1.384 -1.547 1.516
8 H 0.356 -0.108 -0.387
9 H -1.213 0.026 -0.917

The HOMO energy (spin up / spin down) is -0.13301 / -0.13303 Eh. As for the HOMO-LUMO gap (spin up / spin down): 7.30 / 7.30 eV. As for the net charge: -1. For the energy above the lowest of the compared OMol25 structures with the same formula, charge and spin, the calculation gives 9.9 kcal/mol.

---

# 5
C2H2FOPt | wB97M-V/def2-TZVPD

Positions of all 7 atoms, in Å:
1 F 1.614 -0.741 0.491
2 O 1.355 0.753 0.473
3 Pt 0.147 -0.127 -0.544
4 C -1.718 -0.145 -0.257
5 C -2.879 0.152 0.088
6 H -3.869 0.360 0.480
7 H -2.498 0.512 -1.068

The HOMO energy (spin up / spin down) is -0.54914 / -0.58751 Eh. As for the HOMO-LUMO gap (spin up / spin down): 8.58 / 7.95 eV. As for the net charge: +1. As for the multiplicity: 3. For the energy above the lowest of the compared OMol25 structures with the same formula, charge and spin, the calculation gives 130.1 kcal/mol.

---

# 6
C2H2FOSn | wB97M-V/def2-TZVPD

Positions of all 7 atoms, in Å:
1 C 0.562 0.358 0.036
2 C 1.440 -0.577 0.019
- - -

If a grower is harvesting cuttings from plants while pinching, the pinch should be delayed until 3-4 weeks after planting.

Plant Growth Regulator (PGR) recommendations

There are many successful ways to control poinsettia height under warm climate production. Depending on the grower's equipment and labor there are two main ways to apply PGRs:

  • Spray applications - are the lowest labor but can complicate quality production if applied too late in the crop cycle.
  • Drench applications - where a PGR solution is applied to the soil, offer the most uniform results with fewer problems, but require more labor investment in many cases.


Poinsettia is what is a called a short day photoperiod crop, which means that it naturally flowers when the nights become longer than the days. In commercial production many growers use black cloth to either produce earlier crops or make the entire crop more uniform. However, recent advances in breeding have led to crops which flower naturally early enough in the season to meet early sales requirements.

There are currently over 100 Poinsettia hybrids on the market, and selecting the correct hybrid for your production needs is one of the biggest decisions in this crop.


Rooted cuttings should be planted beginning in mid August. Planting can continue up to September 1st for late crops, however the early market is where most sales occur and the late market can be much chancier for growers. Critical Dates should be determined based on each pot size and variety.

Common Production Problems

Poinsettia hornworm, fungus gnats, spider mites, beet armyworm, whitefly, scale, various fungal diseases, Botrytis, root and stem rot, bacterial canker

Recommended Cultivars for Southern US

Click here for a printable chart of recommended cultivars (pdf, 11KB)


Landscape Culture

pH preference


Light levels

Full sun to partial shade

Water requirements

Lightly moist to somewhat dry.


A balanced slow release fertilizer, with full micronutrient array. Should be applied spring through summer but reduce fertilizer in mid to late summer for best flowering.

Season of interest

Early fall into winter in frost free areas.

Common Problems

Many people plant poinsettias where there is a night/street light which lights the plant after sun down. This delays flowering and reduces color, and so should be avoided. It takes at least 8 weeks of short day conditions to get a landscape poinsettia into flower, for this reason using poinsettias in the landscape (or reflowering them indoors) is usually more work than it is worth.
Poinsettias are extremely frost sensitive and will die back or stop developing at 40F, this also limits their use in the Florida landscape.
